by Bryan Hance
Topics: Bike Recovery, Bike Theft, Products, Tech
Topics: Bike Recovery, Bike Theft, Products, Tech
One of the most entertaining and amazing things we get to see here at the Bike Index is how people use Bike Index's various tools - often in unexpected ways.
For example: Imagine my surprise when I received this email from Moscow-based developer Vlad Sonkin, completely out of the blue:
"Hello! My wife (web designer) and I wanted to help you with your mission and developed the Android application Bike Index. It's free, without advertising and has links to your site. Also we are an open source project, full project code can be found here"
-- begin --
GaSb: optimized geometry, PBE-GGA.

Electronic total energy, eV/f.u.: -7.445
Polymorph energy (0 for the lowest one), meV/atom: 13
Calculated formation energy, meV/atom: -239.8

Cell lengths 4.384, 4.384, 7.207 Å; angles 90.00, 90.00, 120.00 degrees
Fractional coordinates of all 4 atoms:
1 Ga 0.333 0.667 0.000
2 Ga 0.667 0.333 0.500
3 Sb 0.333 0.667 0.375
4 Sb 0.667 0.333 0.875

GaSb: optimized geometry, PBE-GGA.

Electronic total energy, eV/f.u.: -7.101
Total moment, μB per formula unit: 0.0
Polymorph energy (0 for the lowest one), meV/atom: 185
Calculated formation energy, meV/atom: -68.0

Cell lengths 5.507, 5.507, 3.181 Å; angles 90.00, 90.00, 90.00 degrees
Fractional coordinates of all 4 atoms:
1 Ga 0.000 0.000 0.000
2 Ga 0.500 0.500 0.500
3 Sb 0.000 0.500 0.250
4 Sb 0.500 0.000 0.750

GaSb: optimized geometry, PBE-GGA.

Electronic total energy, eV/f.u.: -6.901
Total moment, μB per formula unit: 0.0
Polymorph energy (0 for the lowest one), meV/atom: 285
Calculated formation energy, meV/atom: 32.1

Cell lengths 13.466, 14.225, 14.272 Å; angles 89.35, 85.54, 87.18 degrees
Fractional coordinates of all 100 atoms:
1 Ga 0.000 0.000 0.000
2 Ga 0.000 0.506 0.696
3 Ga 0.018 0.078 0.264
4 Ga 0.073 0.150 0.912
5 Ga 0.134 0.613 0.164
6 Ga 0.142 0.134 0.726
7 Ga 0.178 0.960 0.823
8 Ga 0.212 0.623 0.845
9 Ga 0.323 0.322 0.650
10 Ga 0.333 0.499 0.319
11 Ga 0.349 0.227 0.805
12 Ga 0.351 0.674 0.988
13 Ga 0.358 0.951 0.927
14 Ga 0.366 0.626 0.689
15 Ga 0.399 0.463 0.514
16 Ga 0.399 0.842 0.297
17 Ga 0.404 0.776 0.832
18 Ga 0.414 0.370 0.193
19 Ga 0.415 0.696 0.526
20 Ga 0.431 0.538 0.841
21 Ga 0.437 0.104 0.581
22 Ga 0.449 0.631 0.217
23 Ga 0.485 0.903 0.045
24 Ga 0.495 0.284 0.514
25 Ga 0.499 0.534 0.050
26 Ga 0.504 0.585 0.393
27 Ga 0.510 0.076 0.304
28 Ga 0.529 0.731 0.068
29 Ga 0.541 0.821 0.633
30 Ga 0.575 0.092 0.121
31 Ga 0.607 0.290 0.300
32 Ga 0.619 0.498 0.895
33 Ga 0.637 0.145 0.550
34 Ga 0.686 0.677 0.973
35 Ga 0.688 0.270 0.678
36 Ga 0.702 0.130 0.279
37 Ga 0.707 0.016 0.776
38 Ga 0.712 0.459 0.610
39 Ga 0.717 0.846 0.391
40 Ga 0.803 0.074 0.422
41 Ga 0.822 0.949 0.085
42 Ga 0.833 0.932 0.267
43 Ga 0.838 0.460 0.395
44 Ga 0.872 0.317 0.073
45 Ga 0.904 0.425 0.570
46 Ga 0.909 0.705 0.933
47 Ga 0.939 0.613 0.155
48 Ga 0.942 0.458 0.865
49 Ga 0.952 0.803 0.086
50 Ga 0.999 0.280 0.767
51 Sb 0.015 0.265 0.518
52 Sb 0.030 0.693 0.756
53 Sb 0.043 0.995 0.637
54 Sb 0.053 0.334 0.967
55 Sb 0.058 0.830 0.248
56 Sb 0.067 0.262 0.314
57 Sb 0.073 0.769 0.558
58 Sb 0.094 0.524 0.349
59 Sb 0.154 0.975 0.130
60 Sb 0.181 0.026 0.407
61 Sb 0.200 0.826 0.982
62 Sb 0.203 0.362 0.434
63 Sb 0.208 0.493 0.671
64 Sb 0.221 0.619 0.490
65 Sb 0.232 0.799 0.703
66 Sb 0.246 0.167 0.551
67 Sb 0.256 0.707 0.282
68 Sb 0.274 0.129 0.958
69 Sb 0.279 0.412 0.899
70 Sb 0.292 0.498 0.081
71 Sb 0.332 0.876 0.481
72 Sb 0.375 0.996 0.189
73 Sb 0.394 0.955 0.725
74 Sb 0.410 0.244 0.349
75 Sb 0.417 0.215 0.073
76 Sb 0.495 0.318 0.907
77 Sb 0.518 0.417 0.687
78 Sb 0.524 0.967 0.463
-- stop --
As we soon found out, Vlad his wife Tanya had built a Bike Index app - from scratch, all the way from Moscow, which I find quite amazing - I downloaded the app and had a look around. Yeah, wow - they built a pretty great app. Right now the app does all the basic searching by make/model/color serial etc - no advanced features like bike listing or management yet - but it works pretty smoothly. And, wow, we've never even 'met' them before!
For the non-technical folks out there, Bike Index has an open API (an Application Programming Interface) that lets people 'talk' to Bike Index's database with their own code. It's what lets the Bike Index database talk to things like RAPID, LEADSOnline, Lightspeed - and now, Vlad and Tanya's Bike Index app.
# These data records were left in the text by mistake
........
(1)
DFT (PBE-GGA) results for a geometry-optimized Ac3Pm structure.

Cell: 7.8389 7.8389 6.4165 Å, 90.00 90.00 120.00°
Last column: nearest neighbours and their distance in Å.
Sites, in units of the cell vectors:
Ac 0.1685 0.3369 0.2500  8 Ac 3.88-3.96, 4 Pm 3.91-3.92
Ac 0.1685 0.8315 0.2500  8 Ac 3.88-3.96, 4 Pm 3.91-3.92
Ac 0.3369 0.1685 0.7500  8 Ac 3.88-3.96, 4 Pm 3.91-3.92
Ac 0.6631 0.8315 0.2500  8 Ac 3.88-3.96, 4 Pm 3.91-3.92
Ac 0.8315 0.1685 0.7500  8 Ac 3.88-3.96, 4 Pm 3.91-3.92
Ac 0.8315 0.6631 0.7500  8 Ac 3.88-3.96, 4 Pm 3.91-3.92
Pm 0.3333 0.6667 0.7500  12 Ac 3.91-3.92
Pm 0.6667 0.3333 0.2500  12 Ac 3.91-3.92

## Properties
As for the space-group type: P6_3/mmc, No. 194. The value obtained for the electronic total energy is -4.229 eV per atom. The calculation puts the calculated formation energy at 0.05 eV/atom. For the calculated density, the calculation gives 8.03 Mg/m³.


(2)
DFT (PBE-GGA) results for a geometry-optimized Ac3Pr structure.

Cell: 7.8922 7.8922 6.3692 Å, 90.00 90.00 120.00°
Last column: nearest neighbours and their distance in Å.
Sites, in units of the cell vectors:
Ac 0.1682 0.3363 0.2500  4 Pr 3.90-3.95, 8 Ac 3.91-3.98
Ac 0.1682 0.8318 0.2500  4 Pr 3.90-3.95, 8 Ac 3.91-3.98
Ac 0.3363 0.1682 0.7500  4 Pr 3.90-3.95, 8 Ac 3.91-3.98
Ac 0.6637 0.8318 0.2500  4 Pr 3.90-3.95, 8 Ac 3.91-3.98
Ac 0.8318 0.1682 0.7500  4 Pr 3.90-3.95, 8 Ac 3.91-3.98
Ac 0.8318 0.6637 0.7500  4 Pr 3.90-3.95, 8 Ac 3.91-3.98
Pr 0.3333 0.6667 0.7500  12 Ac 3.90-3.95
Pr 0.6667 0.3333 0.2500  12 Ac 3.90-3.95

## Properties
As for the space-group type: P6_3/mmc, No. 194. The value obtained for the electronic total energy is -4.245 eV per atom. The calculation puts the calculated formation energy at 0.04 eV/atom. For the calculated density, the calculation gives 7.94 Mg/m³.


(3)
DFT (PBE-GGA) results for a geometry-optimized Rb3Ac structure.

Cell: 9.3077 9.3077 7.7194 Å, 90.00 90.00 120.00°
Last column: nearest neighbours and their distance in Å.
Sites, in units of the cell vectors:
Rb 0.1705 0.3410 0.2500  8 Rb 4.55-4.76, 4 Ac 4.65-4.67
Rb 0.1705 0.8295 0.2500  8 Rb 4.55-4.76, 4 Ac 4.65-4.67
Rb 0.3410 0.1705 0.7500  8 Rb 4.55-4.76, 4 Ac 4.65-4.67
Rb 0.6590 0.8295 0.2500  8 Rb 4.55-4.76, 4 Ac 4.65-4.67
Rb 0.8295 0.1705 0.7500  8 Rb 4.55-4.76, 4 Ac 4.65-4.67
Rb 0.8295 0.6590 0.7500  8 Rb 4.55-4.76, 4 Ac 4.65-4.67
Ac 0.3333 0.6667 0.7500  12 Rb 4.65-4.67
Ac 0.6667 0.3333 0.2500  12 Rb 4.65-4.67

## Properties
As for the space-group type: P6_3/mmc, No. 194. The value obtained for the electronic total energy is -1.288 eV per atom. The calculation puts the calculated formation energy at 0.48 eV/atom. For the calculated density, the calculation gives 2.77 Mg/m³.


(4)
DFT (PBE-GGA) results for a geometry-optimized Rb3Ac structure.

Cell: 6.3420 6.3420 14.2613 Å, 90.00 90.00 90.00°
Last column: nearest neighbours and their distance in Å.
Sites, in units of the cell vectors:
Rb 0.0000 0.0000 0.0000  4 Ac 4.48, 8 Rb 4.77
........
# Here the text continues
Bike Index is the only registration/recovery site with this kind of API access - and it's why we get wonderful surprises like this.
Naturally we wanted to reach out to them for a Q&A - because we had a lot of questions about everything from being a developer in Russia to how they discovered the Bike Index ...
Bike Index: How did you and your wife get started in programming and app development? Did you both study technology in school or have a technology background?
Vlad:I graduated with honors in computer science and my wife is a doctor, but she successfully completed a couple of courses in web-design and found a job as a web-designer in web-studio where she works now almost 2 years. Once in the evening we thought that we can create together websites. And then we started to do some small websites for people and we loved it. And then we thought “what if we create some mobile app together?” :)
Bike Index: How did you discover the Bike Index (and the Bike Index API)? Were you looking around on Github or did you find it somewhere else?
Vlad: We started to look for an idea. We google it. I typed “public API list” and chose Bike Index for our main idea of application, because we saw a potential in this project. We think that it can be very useful for community of Bike Index. To be honest, our goal is to relocate to Netherlands and live there. And the first version of Bike Index application actually called an “Stolen Bikes NL” in orange colors. It primary goal was to find a stolen bikes in NL, because I read somewhere that bike theft is a big deal in Netherlands and we wanted to help. But then we thought - why to limit application to only Netherlands? Why not to expanding it world-wide so everyone can use it? It can bring a lot of benefits to people.
(At this point Bike Index quickly introduced Vlad to the Against Bike Theft In The Netherlands FB group, because we think they should meet each other).
Bike Index: I don't know a whole lot about Android development, can you tell me what kind of tools and programming environment you use? What kind of tools did you use to build the Bike Index app?
Vlad: For coding I used Android Studio and for the design we used Photoshop and Illustrator. And of course code project is open and it’s in Github, so nothing fancy here.
Bike Index: What is it like for you and your wife being developers in Moscow? Is there a pretty good 'developer' scene there?
Answer: Moscow is a good place for the developers, you can earn some money and there a lot of big companies here. But we want to relocate to the Netherlands and try to live in foreign country and work in some international company.
Someone pasted records of crystals at this point:
____________
4
Lattice="3.5435 -1.5688 -3.8474 2.4821 -4.8486 0.3878 -1.3172 -4.0251 -3.4473" Properties=species:S:1:pos:R:3 comment="PrYMg2 r²SCAN optimized geometry" vol_a3_per_atom=28.8 magmom_total_mub_per_fu=0.00 space_group=Fm-3m de_polymorph_ev_per_fu=0.00 pbc="T T T"
Pr 1.1771 -2.6106 -1.7267
Y 3.5314 -7.8319 -5.1802
Mg 2.3542 -5.2213 -3.4535
Mg 0.0000 0.0000 0.0000


The following is a DFT calculation (PBE-GGA) of a relaxed TaBr5N2 crystal.

The value obtained for the formation energy is 0.4161 eV/atom.

It has space group P4/mnc (No. 128), with a = 7.498 Å, b = 7.498 Å, c = 19.966 Å, α = 90.00°, β = 90.00° and γ = 90.00°. The asymmetric unit holds Ta at (0.000, 0.000, 0.095), Br at (0.000, 0.000, 0.233), Br at (0.184, 0.281, 0.107), N at (0.000, 0.000, 0.000), N at (0.000, 0.000, 0.500) and N at (0.000, 0.500, 0.250).


# 1
Zr6BI12 | the Materials Project | meta-GGA r2SCAN | optimized geometry; magnetization = 0.0515 μB per atom; calculated formation energy = -1.14 eV per atom; ρ = 5.3 g cm⁻³; total energy = -24.2180 eV/atom
1.0
-7.2501 4.2068 -3.8675
-1.9958 -1.1789 8.9356
7.1023 5.8806 -0.4410
I Zr B
12 6 1
direct
0.8556 0.5546 0.6297 I
0.6914 0.0789 0.2254 I
0.0789 0.2254 0.6914 I
0.2254 0.6914 0.0789 I
0.3086 0.9211 0.7746 I
0.3703 0.1444 0.4454 I
0.1444 0.4454 0.3703 I
0.6297 0.8556 0.5546 I
0.5546 0.6297 0.8556 I
0.7746 0.3086 0.9211 I
0.9211 0.7746 0.3086 I
0.4454 0.3703 0.1444 I
0.0280 0.0904 0.2741 Zr
0.0904 0.2741 0.0280 Zr
0.7259 0.9720 0.9096 Zr
0.2741 0.0280 0.0904 Zr
0.9096 0.7259 0.9720 Zr
0.9720 0.9096 0.7259 Zr
0.0000 0.0000 0.0000 B

***

# 2
K3BiCl6 | the Materials Project | meta-GGA r2SCAN | optimized geometry; magnetization = 0.0000 μB per atom; calculated formation energy = -1.68 eV per atom; ρ = 2.5 g cm⁻³; total energy = -13.0278 eV/atom
1.0
3.9559 -6.8814 -0.4210
-2.2788 -6.1734 4.4582
-3.3881 -6.3297 -3.4111
K Cl Bi
3 6 1
direct
0.2500 0.2500 0.2500 K
0.7500 0.7500 0.7500 K
0.5000 0.5000 0.5000 K
0.2392 0.7608 0.2392 Cl
0.7608 0.2392 0.7608 Cl
0.2392 0.2392 0.7608 Cl
0.2392 0.7608 0.7608 Cl
0.7608 0.2392 0.2392 Cl
0.7608 0.7608 0.2392 Cl
0.0000 0.0000 0.0000 Bi

***

# 3
YbBRh3 | the Materials Project | meta-GGA r2SCAN | optimized geometry; magnetization = 0.1445 μB per atom; calculated formation energy = -0.89 eV per atom; ρ = 11.5 g cm⁻³; total energy = -24.1509 eV/atom
1.0
4.1445 0.0000 0.0000
0.0000 4.1445 0.0000
0.0000 0.0000 4.1445
B Rh Yb
1 3 1
direct
0.5000 0.5000 0.5000 B
0.5000 0.5000 0.0000 Rh
0.5000 0.0000 0.5000 Rh
0.0000 0.5000 0.5000 Rh
0.0000 0.0000 0.0000 Yb

***

# 4
EuZnGa | the Materials Project | meta-GGA r2SCAN | optimized geometry; magnetization = 2.3397 μB per atom; calculated formation energy = -0.50 eV per atom; ρ = 7.2 g cm⁻³; total energy = -20.1229 eV/atom
1.0
-5.2658 1.8900 -1.4282
-3.6123 -1.2602 -4.3248
-6.6375 -3.6115 0.1386
Eu Ga Zn
2 2 2
direct
0.4579 0.4579 0.2968 Eu
0.5421 0.5421 0.7032 Eu
0.8388 0.8388 0.1055 Ga
0.1612 0.1612 0.8945 Ga
0.8342 0.8342 0.7254 Zn
0.1658 0.1658 0.2746 Zn
____________
Back to the piece:
Building Bike Index was a fun for us. We hope that community will find it useful. We also have a plans for creating some new features, for example:
- Login and register bike from application
- Filter bikes by city
- Add Bike Index news feed
- Search by close serial numbers
... and that's how Bike Index met our new friends in Moscow, Vlad and Tanya! :) I'm still amazed that this pair managed to find out about Bike Index and build us an app, but as Vlad said -- ' That's the power of open source project and globalization. We live in an amazing world :) '
If you have an Android phone, you can check out the app here.
Thank you Vlad and Tanya - you really surprised us with this and it has been quite fantastic to 'meet' you :)
And, if you're in the Netherlands (or not!) and you are looking for an awesome dev who cares about bike thefts - drop Vlad and Tanya a line!